Monday, January 09, 2006

Monday Issue Milestone Met

APPY NEW YEAR Scandal Team! Those involved deserve a well earned pat on the back partly for your persistance and partly for your loyalty. KEEP COMMENTING :-)

What comes next are quantum chemistry results, not part of the entry:
'''
Below is a molecular structure, C4H7O3V in a non-equilibrium geometry, with properties calculated with ωB97M-V/def2-TZVPD.

Positions of all 15 atoms, in Å:
O 0.330 -1.474 2.177
C -0.574 -1.989 1.340
C -0.596 -1.443 -0.045
O -0.464 -0.007 0.059
C 0.088 0.706 -1.049
C 0.623 2.025 -0.489
O 1.413 1.819 0.638
V 0.795 0.309 1.590
H -1.430 -2.540 1.751
H 0.235 -1.802 -0.683
H -0.677 0.863 -1.824
H 0.914 0.110 -1.474
H -0.244 2.680 -0.263
H 1.184 2.520 -1.305
H -1.599 -1.778 -0.421

Its lowest unoccupied orbital energy (alpha / beta) is 0.00885 / -0.00675 hartree. Its expectation value of S² is 6.01. Its spin multiplicity is 5. As for the energy above the lowest of the compared OMol25 structures with the same formula, charge and spin: 0.00 kcal per mole. For the HOMO-LUMO gap (alpha / beta), the calculation gives 6.84 / 9.61 eV. The calculated total energy comes out at -1326.24390 hartree.

Now the natural (NBO) charges, all in e: -0.8078 0.0868 -0.1784 -0.5689 -0.1016 -0.0803 -0.8580 1.2862 0.1498 0.1809 0.1894 0.1752 0.1562 0.1693 0.2012

***

Below is a molecular structure, C24H69FeN3O17S2 in a non-equilibrium geometry, with properties calculated with ωB97M-V/def2-TZVPD.

Positions of all 116 atoms, in Å:
Fe 19.004 -15.259 38.666
S 20.345 -17.576 38.604
O 20.576 -16.208 38.137
O 19.144 -17.158 39.276
O 20.121 -18.532 37.570
O 21.404 -18.181 39.446
S 16.544 -14.260 39.340
O 16.316 -13.634 40.650
O 17.168 -15.556 39.436
O 15.462 -14.201 38.377
O 17.800 -13.790 38.775
C 21.967 -12.220 39.432
C 21.317 -13.584 39.370
C 20.488 -13.800 40.658
O 19.704 -14.954 40.546
C 19.154 -15.302 41.801
N 20.336 -13.582 38.304
H 21.292 -11.414 39.717
H 22.484 -11.949 38.511
H 22.797 -12.253 40.138
H 22.051 -14.369 39.188
H 19.834 -12.935 40.773
H 21.127 -13.832 41.540
H 18.697 -14.423 42.256
H 19.856 -15.678 42.546
H 18.314 -15.994 41.730
H 19.818 -12.714 38.299
H 20.907 -13.354 37.503
C 14.350 -20.869 35.404
C 14.754 -21.029 36.865
C 14.967 -19.627 37.538
O 15.427 -19.760 38.870
C 15.925 -18.597 39.445
N 13.654 -21.714 37.455
H 14.095 -21.827 34.951
H 15.235 -20.569 34.842
H 13.534 -20.147 35.379
H 15.652 -21.646 36.821
H 14.147 -18.938 37.333
H 15.767 -19.282 36.883
H 16.098 -18.855 40.490
H 15.327 -17.685 39.467
H 16.835 -18.279 38.938
H 13.669 -21.636 38.461
H 12.865 -21.128 37.225
C 13.937 -6.548 39.865
C 13.349 -7.855 39.391
C 13.707 -9.122 40.225
O 13.060 -10.294 39.704
C 13.486 -11.516 40.313
N 11.924 -7.683 39.378
H 13.638 -6.316 40.887
H 13.746 -5.704 39.202
H 15.025 -6.621 39.857
H 13.704 -7.988 38.369
H 13.454 -8.994 41.277
H 14.773 -9.313 40.104
H 12.908 -12.322 39.859
H 13.234 -11.499 41.373
H 14.563 -11.644 40.204
H 11.594 -7.535 40.321
H 11.604 -8.636 39.278
C 16.348 -16.480 36.173
C 17.886 -16.508 36.026
O 18.404 -15.393 36.730
H 15.933 -17.296 35.581
H 15.911 -15.549 35.812
H 16.053 -16.605 37.215
H 18.205 -16.459 34.985
H 18.165 -17.470 36.456
H 18.323 -14.699 36.072
C 16.950 -9.656 41.971
C 17.698 -10.834 41.364
O 17.611 -12.036 42.113
'''

ecause of my absence I unfortunately failed to pick up much scandal so the best I can do is to tell the amusing presents I managed to posess and what happened in sunny California.

ast year I managed to become upon a box containing eight blocks of chalk for climbing. As every climber knows the best chalk comes in a finely meshed bag called a chalk ball, unfortunately my grandma interperated the christmas list differently and now I am laidened with loose chalk that is too big to fit in my chalk bag. A self-induced present. The rest of my loot incuded an automatic card shuffler, two head torches, too many clothes that I'd actually care for and this magnetic sudoku so that I can do puzzles where ever I am. Ofcourse I'd never trade these presents for anything else as I expect everyone-else would.

n to New Year's Eve, the "Climbing Twelve" celebrated New Year on a minor hillock overlooking our camp, listening to other people celebrating the different time zones through every hour (the UK one having been at 4:00pm LA time) until at 00:00 LA time we popped the corks of our Californian Champagne and drank copiously. My first New Year away from England. And yes we did drink Alcohol despite the fact that both those drinking and Dave (who bought it) would be arrested if caught. Probably the most fun New Year I've ever had and would recomend.

Scandal Lives

Harsh Reality


Scotty said...

Awesome...that sounds so great it's hard to really comprehend...

An automatic card shuffler would be a genius tool of the trade, I've got to get me one of those!

Nice post, good to hear you had a great time in California (lucky buggars etc.) and even though you drank illegally, it was all in the name of wreckless fun I hope!

Scandal will be coming, it just depends on whether one of us decides to go crazy any time soon!

clarkey said...

It was good Champagne (although not technically champagne (not from the champagne region of France)) But anyhow it did succeed in it's task on getting us merry, including myself who drank 2 bottles of the stuff.
We also that night had a cool chat with some slightly odd but equally Bush hating Americans.
Joshua is climbers heaven and possibly the biggest playground on Earth, although a word of advice when Pete says there is a way down off a rock when scrambling up it don't ever believe him. As we all don't all possess his balance or lack of regard for personal safety.

Harsh Reality said...

American climbers say: " Go to BISHOP!"
(somewhere in north California)

Scandal Press Editor in Chief said...

and there was i thinking that clarkey was suicidal. turns out he isn't after all

Scandal Press Editor in Chief said...

boooo hallooooo from sunny scotland

Adriana said...

"Scandal will be coming, it just depends on whether one of us decides to go crazy any time soon!"I though we all were crazy and that scandal only depended on the journalists to get to the good stuff? Well seeing as I'm a good one I have something .... but I'm not going to teeeell! **sticks out tonuge and then quickly vanished before someone can complain** **halo** ,p

clarkey said...

(Calculated molecules, kept here for reference)
____________
1.
A structure of composition C6H9NO2 in a non-equilibrium geometry. Source: the Open Molecules 2025 dataset; level of theory: the ωB97M-V functional and the def2-TZVPD basis.

Results
- Kohn-Sham gap (eV) = 9.2

Structure (ORCA input):
```
! wB97M-V def2-TZVPD RIJCOSX def2/J DEFGRID3
* xyz 0 1
C 1.8685 -0.9924 -0.0690
C 2.2700 0.3177 0.0451
C 0.5363 -1.3285 0.0556
C 0.5180 1.1802 0.2126
C -1.4069 -0.0433 1.1101
C -0.9866 0.1850 -1.2933
N -0.3741 0.0558 0.0141
O 3.2292 0.9788 -0.0093
O -0.1679 -2.2953 -0.0061
H 2.4213 -1.8700 0.1616
H 0.3746 1.4824 1.2066
H 0.2996 1.8925 -0.5441
H -1.9733 0.8396 0.9024
H -1.9836 -1.0488 0.9736
H -1.0797 -0.0579 2.1188
H -1.5880 1.1751 -1.5053
H -0.2460 0.1504 -1.9989
H -1.7114 -0.6212 -1.3746
*
```

=====

2.
An isolated molecule of C29H38N4O4S. Source: the Open Molecules 2025 dataset; level of theory: the ωB97M-V functional and the def2-TZVPD basis.

Results
- Kohn-Sham gap (eV) = 7.7

Structure (ORCA input):
```
! wB97M-V def2-TZVPD RIJCOSX def2/J DEFGRID3
* xyz 0 1
C 1.9195 6.5423 1.7390
O 1.5700 5.6344 2.7552
C 1.0812 4.4205 2.3933
C 0.9101 3.9779 1.1049
C 0.4022 2.6946 0.8421
C 0.2285 2.1840 -0.4712
C -0.2569 0.9393 -0.7039
C -0.4255 0.3897 -2.0968
N 0.7185 -0.3797 -2.5531
C 1.8317 0.3493 -3.1241
C 3.1640 0.0731 -2.4073
C 3.1432 0.4421 -0.9548
C 2.6340 -0.4389 -0.0090
C 2.6424 -0.1032 1.3324
C 3.1669 1.1079 1.7470
C 3.6799 2.0041 0.8191
C 4.3019 3.2929 1.2662
C 3.6497 1.6613 -0.5251
C 0.6597 -1.7329 -2.7103
S 1.6847 -2.5278 -3.7508
N -0.2749 -2.3989 -2.0130
C -0.4047 -3.8347 -2.0903
C -1.6937 -4.2710 -1.4081
C -2.9242 -3.7411 -2.1612
N -4.2139 -3.9914 -1.5552
C -4.5943 -5.3879 -1.4691
C -6.0752 -5.4547 -1.0889
O -6.3214 -4.8043 0.1365
C -5.9069 -3.4585 0.0770
C -4.4210 -3.3519 -0.2699
C -0.6367 0.0878 0.4082
O -1.1159 -1.0398 0.3065
N -0.4585 0.6296 1.6539
C 0.0523 1.8687 1.9196
C 0.2218 2.3120 3.2339
C 0.7362 3.5667 3.4837
O 0.9569 4.0900 4.7089
C 0.6498 3.3143 5.8426
H 2.2716 7.4350 2.2528
H 2.7214 6.1484 1.1069
H 1.0568 6.7990 1.1159
H 1.1713 4.5997 0.2646
H 0.4942 2.8237 -1.3014
H -0.5771 1.2220 -2.7938
H -1.3129 -0.2472 -2.1298
H 1.6023 1.4141 -3.0692
H 1.9487 0.0614 -4.1760
H 3.9394 0.6392 -2.9261
H 3.3866 -0.9895 -2.5147
H 2.2470 -1.3963 -0.3245
H 2.2540 -0.7998 2.0620
H 3.1888 1.3589 2.7980
H 4.2611 4.0389 0.4753
H 5.3509 3.1281 1.5155
H 3.8043 3.6803 2.1524
H 4.0539 2.3505 -1.2549
H -0.6620 -1.9706 -1.1708
H 0.4593 -4.3223 -1.6164
H -0.4039 -4.1242 -3.1458
H -1.6969 -3.8846 -0.3872
H -1.7218 -5.3608 -1.3685
H -2.8306 -2.6571 -2.2701
H -2.9463 -4.1788 -3.1639
H -4.4431 -5.8608 -2.4414
H -4.0097 -5.9349 -0.7091
H -6.3980 -6.4888 -0.9559
H -6.6701 -4.9831 -1.8857
H -6.1108 -3.0331 1.0613
H -6.4933 -2.9226 -0.6846
H -4.1264 -2.3033 -0.3385
H -3.8391 -3.8320 0.5351
H -0.7174 0.0330 2.4314
H -0.0498 1.6525 4.0428
H 1.2368 2.3907 5.8683
H 0.9127 3.9316 6.6996
H -0.4164 3.0705 5.8856
*
```

=====

3.
____________
(So much for the calculated molecules)

i have a few screws loose but suicidal not quite. Although i'm confident one day i'll find a way of killing myself climbing.

Scotty said...

Speaking of the climbing sexy beast - Happy Birthday Emery!!!

If anyone can make it, celebrations for the blond haired mad man will take place this Saturday so get in touch!

Adriana said...

**tries to touch you** sorry scotty. I seam to not be able to

+++
Record 1
Formula: C40H31HfI2N9O8
Source: the Open Molecules 2025 dataset
Level of theory: wB97M-V/def2-TZVPD

```
91
Properties=species:S:1:pos:R:3:mulliken_charge:R:1
Hf 0.280 -0.079 -0.071 2.912
I -4.194 4.293 -4.858 0.066
C -3.259 3.150 -3.375 -0.507
C -3.067 3.693 -2.115 -0.437
C -2.423 2.930 -1.158 -0.078
I -2.023 3.735 0.733 0.011
C -1.972 1.628 -1.426 -0.853
O -1.330 0.939 -0.493 0.649
C -2.175 1.105 -2.710 1.479
C -1.720 -0.300 -3.035 -1.814
N -0.351 -0.629 -2.568 -0.029
C 0.659 -0.678 -3.611 -1.637
C 2.046 -0.585 -3.030 0.851
C 3.140 -0.498 -3.881 -1.082
C 4.408 -0.393 -3.347 -0.596
C 4.549 -0.387 -1.966 -1.040
C 3.417 -0.488 -1.189 -0.070
N 2.178 -0.582 -1.700 0.593
C -2.817 1.872 -3.671 -0.899
H -3.400 4.695 -1.885 0.415
H -1.798 -0.469 -4.112 0.478
H -2.398 -0.993 -2.540 0.428
H -0.422 -1.549 -2.146 0.512
H 0.514 0.139 -4.317 0.593
H 0.588 -1.597 -4.203 0.616
H 2.980 -0.502 -4.952 0.518
H 5.272 -0.312 -3.994 0.428
H 5.519 -0.302 -1.497 0.486
H 3.480 -0.473 -0.110 0.101
H -2.970 1.462 -4.662 0.462
C 1.857 0.088 6.601 -1.761
C 0.988 0.091 5.361 2.021
C 0.927 1.437 4.723 -1.686
C 1.264 1.616 3.457 -0.352
C 1.660 0.524 2.537 -0.346
N 1.844 0.892 1.193 1.193
C 2.724 1.993 1.124 -0.437
C 3.830 2.018 1.990 -0.428
C 4.715 3.075 2.053 -1.108
C 4.574 4.168 1.204 0.266
C 5.545 5.321 1.236 -1.640
C 3.531 4.128 0.297 -0.344
C 2.613 3.078 0.255 0.200
N 1.593 3.143 -0.735 -0.408
C 1.202 4.259 -1.390 -0.327
C 0.542 3.870 -2.524 -1.592
C 0.578 2.472 -2.475 -0.551
N 1.191 2.024 -1.387 0.587
C 1.691 -0.731 3.000 -0.232
C 1.276 -1.038 4.375 -1.663
N 1.846 -1.868 2.147 0.236
C 2.186 -3.123 2.503 0.030
C 2.206 -3.891 1.360 -1.515
C 1.843 -3.016 0.339 -0.418
N 1.620 -1.795 0.815 0.903
H 2.888 0.338 6.340 0.345
H 1.488 0.829 7.313 0.427
H 1.824 -0.895 7.072 0.424
H 0.573 2.259 5.339 0.414
H 1.174 2.597 3.005 0.678
H 3.973 1.167 2.643 0.523
H 5.537 3.044 2.760 0.415
H 5.855 5.535 2.259 0.391
H 6.445 5.096 0.659 0.291
H 5.101 6.225 0.819 0.381
H 3.441 4.933 -0.422 0.594
H 1.393 5.243 -0.996 0.553
H 0.079 4.496 -3.267 0.511
H 0.141 1.789 -3.175 0.747
H 1.886 -1.808 4.836 0.465
H 2.370 -3.396 3.529 0.443
H 2.433 -4.941 1.285 0.459
H 1.711 -3.216 -0.712 0.460
O -3.044 -1.899 -0.716 -0.745
C -2.145 -1.772 0.084 -0.418
O -0.852 -1.788 -0.243 -0.703
C -2.378 -1.728 1.552 0.535
C -3.469 -2.359 2.090 -0.379
C -3.518 -2.518 3.466 -1.003
C -2.428 -2.204 4.245 0.088
C -1.319 -1.584 3.695 -0.482
C -1.366 -1.137 2.356 0.066
O -0.600 -0.224 1.814 -0.165
N -0.147 -1.622 4.640 1.932
O -0.334 -0.407 5.642 -0.647
O -0.085 -2.744 5.232 -0.808
N -4.690 -3.134 4.086 1.021
O -5.574 -3.531 3.349 -0.631
O -4.710 -3.236 5.298 -0.633
H -4.249 -2.750 1.453 0.622
H -2.414 -2.476 5.290 0.643
```

Output
HOMO level: -7.84 eV
ΔE to the lowest compared entry with this formula, charge and spin: 3.3126 eV
energy: -89280.8762 eV
net charge: 0
strongest force on any atom: 1.5 eV/A

Record 2
Formula: C6H10O
Source: the Open Molecules 2025 dataset
Level of theory: wB97M-V/def2-TZVPD

```
17
+++

Scandal Press Editor in Chief said...

**tries reaching all the way to manchester...fails to reach beyond PC screen**

Adriana said...

cooppyy cat! **stikes out tonuge** ;p

Scotty said...

Well Rick, whenever I get the chance and money, I'd love to come up to Aberdeen and see you! But you're always invited to come to Manchester whenever you like for meet-up...otherwise enjoy UNI!

Oh....something scandalous...the new German assistant you guys have rocks, according to Andy and does seem quite funny.

"Hey, what drink do you want?...
(To Andy) Oh it's a bit slow you know, he's French"